We are overloaded with information—reports, web posts, newscasts, clinical updates, and even new coffee flavors clamor for our attention. How do we sift through it all? Is there a meaning to be distilled from all the data before us? This general cultural problem in our information age has become a particular hindrance in clinical decision-making.
More than ever before, health centers collect vast amounts of data via electronic health records, financial accounting systems and individual grant templates. We capture superfluous information for reports, but important patient information like immunization status may be missing entirely at the clinical level, yet available in an ill-defined administrative database. Many times, the full picture of a patient’s health information is only captured in paper records, narrative reports, and electronic summaries.
Electronic health record systems lack interoperability
We haven’t quite made a full transition to a patient-centered medical home when it pertains to health information. Most health centers struggle to communicate digitally with their local hospitals and outside consultants because different electronic health record systems lack interoperability. Similarly, agencies may utilize different parameters for seemingly straightforward subjects, like immunizations, when preparing grant reports. Year-to-year comparisons may also be difficult to interpret as definitions vary by vaccine type, age of interest, and number of doses.
This problem is widely recognized but often seen as an immovable obstacle that must be addressed by designing roundabout mechanisms to approximate our desired outcomes. We typically include all sorts of caveats that warn of our limitations or our oddly formed outcomes. We utilize cumbersome methods to extract actionable information from the captured data previously inputted. The burden of data collection contributes to clinician burnout, while the demand for more meaningful data accelerates.
The relatively new specialization of clinical informatics is trying to change this frustrating paradigm. Through including clinical experts with hands-on experience in health care settings, the design of information technology is being adapted to better fit the real-time patient-provider experience. Clinical informatics standardizes medical terminology across multiple-use settings, increases access to pooled data, and interprets outcomes in ways that are meaningful to both clinicians and administrators. Efforts focus on collecting useful and important information, reducing wasted time and clinician burden.
Calculated crystals, as found in the file
+++
(1)
The following is a theoretical powder XRD pattern of Zr4Ta2In3N3. It was derived from a cell relaxed with GGA-PBE, using CuKα.
Intensities are scaled so that the largest is 100.

Crystal structure
Cell lengths 5.6076, 5.6076, 15.1211 Å; angles 100.79, 100.79, 60.04 degrees
Sites, in units of the cell vectors:
Zr: 0.0317 0.1934 0.0871
Zr: 0.1347 0.3045 0.4130
Zr: 0.1934 0.0317 0.5871
Zr: 0.3045 0.1347 0.9130
Zr: 0.6955 0.8653 0.0870
Zr: 0.8066 0.9683 0.4129
Zr: 0.8653 0.6955 0.5870
Zr: 0.9683 0.8066 0.9129
Ta: 0.3567 0.5264 0.0790
Ta: 0.4736 0.6433 0.4210
Ta: 0.5264 0.3567 0.5790
Ta: 0.6433 0.4736 0.9210
In: 0.0998 0.9002 0.2500
In: 0.2668 0.4166 0.7507
In: 0.4166 0.2668 0.2507
In: 0.5834 0.7332 0.7493
In: 0.7332 0.5834 0.2493
In: 0.9002 0.0998 0.7500
N: 0.0000 0.5000 0.0000
N: 0.1751 0.6625 0.5000
N: 0.3375 0.8249 0.0000
N: 0.5000 0.0000 0.5000
N: 0.6625 0.1751 0.0000
N: 0.8249 0.3375 0.5000

Main lines, sorted by position (2θ from 5° to 70°):
2θ = 31.91°, d = 2.804 Å, I = 21; 2θ = 36.52°, d = 2.461 Å, I = 21; 2θ = 36.89°, d = 2.437 Å, I = 100; 2θ = 49.27°, d = 1.850 Å, I = 16; 2θ = 56.87°, d = 1.619 Å, I = 20; 2θ = 69.48°, d = 1.353 Å, I = 16

(2)
The following is a theoretical powder XRD pattern of Na2In4NiPt. It was derived from a cell relaxed with GGA-PBE, using CuKα.
Intensities are scaled so that the largest is 100.

Crystal structure
Cell lengths 7.8373, 5.6544, 5.6544 Å; angles 44.33, 90.00, 90.00 degrees
Sites, in units of the cell vectors:
Na: 0.0000 0.0000 0.0000
Na: 0.5000 0.1314 0.1314
In: 0.1927 0.7092 0.7092
In: 0.2921 0.4199 0.4199
In: 0.7079 0.4199 0.4199
In: 0.8073 0.7092 0.7092
Ni: 0.0000 0.2818 0.2818
Pt: 0.5000 0.8472 0.8472

Main lines, sorted by position (2θ from 5° to 70°):
2θ = 16.93°, d = 5.236 Å, I = 60; 2θ = 20.40°, d = 4.354 Å, I = 41; 2θ = 32.17°, d = 2.782 Å, I = 64; 2θ = 35.13°, d = 2.554 Å, I = 42; 2θ = 40.56°, d = 2.224 Å, I = 62; 2θ = 41.45°, d = 2.179 Å, I = 100

(3)
The following is a theoretical powder XRD pattern of NaZnInO2. It was derived from a cell relaxed with GGA-PBE, using CuKα.
Intensities are scaled so that the largest is 100.

Crystal structure
Cell lengths 6.0001, 9.6786, 5.6023 Å; angles 90.00, 112.43, 90.00 degrees
Sites, in units of the cell vectors:
Na: 0.2502 0.0028 0.0012
Na: 0.2502 0.4972 0.5012
Na: 0.7498 0.5028 0.4988
Na: 0.7498 0.9972 0.9988
Zn: 0.2496 0.2025 0.5005
Zn: 0.2496 0.2975 0.0005
Zn: 0.7504 0.7025 0.9995
Zn: 0.7504 0.7975 0.4995
In: 0.2499 0.6572 0.0011
In: 0.2499 0.8428 0.5011
In: 0.7501 0.1572 0.4989
In: 0.7501 0.3428 0.9989
O: 0.0328 0.1745 0.1330
O: 0.0328 0.3255 0.6330
O: 0.4672 0.1744 0.8695
O: 0.4672 0.3256 0.3695
O: 0.5328 0.6744 0.6305
O: 0.5328 0.8256 0.1305
O: 0.9672 0.6745 0.3670
O: 0.9672 0.8255 0.8670

Main lines, sorted by position (2θ from 5° to 70°):
2θ = 18.33°, d = 4.839 Å, I = 73; 2θ = 32.28°, d = 2.773 Å, I = 57; 2θ = 32.70°, d = 2.738 Å, I = 100; 2θ = 34.65°, d = 2.589 Å, I = 63; 2θ = 37.39°, d = 2.405 Å, I = 57; 2θ = 41.40°, d = 2.181 Å, I = 87

(4)
+++
Clinical informatics combines health care and technology
NACHC is at the forefront of incorporating clinical informatics to its internal work as well as its external program assistance. Heading the recently created division of health information technology (HIT) is Julia Skapik, MD, MPH. Julia is a practicing internist and a specialist in clinical informatics. She sees her role as advancing the public good at the intersection of health care and technology. In response to seeing how technology development is so often separated from the people and processes it affects, Julia integrates workflows and personal narratives into HIT design.
The piece is interrupted by crystal structures
=====
No. 1
Computed XRD peak list of Lu3Mg4 for Cu Kα (weighted mean of Kα1 and Kα2), from DFT lattice parameters and positions (GGA-PBE).
Neutral-atom scattering factors, no anomalous dispersion.

Structural model:
```
data_Lu3Mg4
_chemical_formula_sum 'Lu6 Mg8'
_symmetry_space_group_name_H-M 'P 1'
_symmetry_Int_Tables_number 1
_cell_length_a 8.870
_cell_length_b 8.870
_cell_length_c 5.337
_cell_angle_alpha 90.00
_cell_angle_beta 90.00
_cell_angle_gamma 120.00
loop_
_symmetry_equiv_pos_as_xyz
'x,y,z'
loop_
_atom_site_label
_atom_site_type_symbol
_atom_site_fract_x
_atom_site_fract_y
_atom_site_fract_z
_atom_site_occupancy
Lu1 Lu 0.059 0.246 0.250 1
Lu2 Lu 0.187 0.941 0.250 1
Lu3 Lu 0.246 0.187 0.750 1
Lu4 Lu 0.754 0.813 0.250 1
Lu5 Lu 0.813 0.059 0.750 1
Lu6 Lu 0.941 0.754 0.750 1
Mg1 Mg 0.098 0.482 0.750 1
Mg2 Mg 0.333 0.667 0.250 1
Mg3 Mg 0.384 0.902 0.750 1
Mg4 Mg 0.482 0.384 0.250 1
Mg5 Mg 0.518 0.616 0.750 1
Mg6 Mg 0.616 0.098 0.250 1
Mg7 Mg 0.667 0.333 0.750 1
Mg8 Mg 0.902 0.518 0.250 1
```

Peak list (12 most intense, 5° ≤ 2θ ≤ 70°, by angle)
2θ = 11.52°, intensity 87
2θ = 26.12°, intensity 24
2θ = 28.63°, intensity 24
2θ = 30.79°, intensity 26
2θ = 33.58°, intensity 25
2θ = 35.19°, intensity 100
2θ = 39.01°, intensity 13
2θ = 46.20°, intensity 17
2θ = 54.76°, intensity 18
2θ = 61.09°, intensity 20
2θ = 65.79°, intensity 21
2θ = 66.78°, intensity 14

=====

No. 2
Computed XRD peak list of LuMg for Cu Kα (weighted mean of Kα1 and Kα2), from DFT lattice parameters and positions (GGA-PBE).
Neutral-atom scattering factors, no anomalous dispersion.

Structural model:
```
data_LuMg
_chemical_formula_sum 'Lu4 Mg4'
_symmetry_space_group_name_H-M 'P 1'
_symmetry_Int_Tables_number 1
_cell_length_a 6.702
_cell_length_b 5.863
_cell_length_c 5.372
_cell_angle_alpha 90.00
_cell_angle_beta 90.00
_cell_angle_gamma 90.00
loop_
_symmetry_equiv_pos_as_xyz
'x,y,z'
loop_
_atom_site_label
_atom_site_type_symbol
_atom_site_fract_x
_atom_site_fract_y
_atom_site_fract_z
_atom_site_occupancy
Lu1 Lu 0.132 0.077 0.250 1
Lu2 Lu 0.132 0.423 0.750 1
Lu3 Lu 0.868 0.577 0.250 1
Lu4 Lu 0.868 0.923 0.750 1
Mg1 Mg 0.372 0.589 0.250 1
Mg2 Mg 0.372 0.911 0.750 1
Mg3 Mg 0.628 0.089 0.250 1
Mg4 Mg 0.628 0.411 0.750 1
```

Peak list (12 most intense, 5° ≤ 2θ ≤ 70°, by angle)
2θ = 13.21°, intensity 81
2θ = 20.12°, intensity 16
2θ = 26.13°, intensity 66
2θ = 30.73°, intensity 21
2θ = 33.36°, intensity 44
2θ = 34.87°, intensity 46
2θ = 35.08°, intensity 100
2θ = 36.03°, intensity 15
2θ = 37.44°, intensity 18
2θ = 54.36°, intensity 27
2θ = 60.74°, intensity 21
2θ = 65.28°, intensity 21

=====

No. 3
Computed XRD peak list of Lu3Mg4 for Cu Kα (weighted mean of Kα1 and Kα2), from DFT lattice parameters and positions (GGA-PBE).
Neutral-atom scattering factors, no anomalous dispersion.

Structural model:
```
data_Lu3Mg4
_chemical_formula_sum 'Lu6 Mg8'
_symmetry_space_group_name_H-M 'P 1'
_symmetry_Int_Tables_number 1
_cell_length_a 8.899
_cell_length_b 8.899
_cell_length_c 5.288
=====
Personal narratives in HIT design are key in what Julia terms as “human-centered design.” Designated as “personas,” characteristics of patients as well as providers are carefully described before any design is initiated. Social determinants of health, such as language and literacy, are understood at the front end of design and incorporated into both intervention and data collection planning so that outcomes measure the impacts of all important variables. Understanding workflows allows discernment of the most efficient and effective points of contact for program processes and for recording both qualitative and quantitative information.
If this sounds too abstract, Julia is ready with concrete examples. When health centers need to report birth outcomes and postpartum visits, many find they can extract a record of postpartum visits but can’t easily tie those in with data on live births. The live birth data is in a pediatric chart or outside hospital record. Health centers must do manual chart audits of postpartum records to find the birth information, sometimes noted on a summary sheet, but in narrative style. Information such as gestational age and weight of the infant is valuable but disconnected to the workflow and patient-provider HIT interface. By understanding how that information is collected, specialists in HIT can communicate with health centers and hospitals to create seamless data entry through interoperable EHR connections. For those who can’t get data seamlessly, HIT specialists can still modify the center’s EHR so that postpartum encounters have retrievable data fields for infant gestational age and birthweight.
Recently Raymonde Uy, MD, MBA; Andrea Price, EdM, PMP; Jayson Osika, MSc; Pedro Carneiro, MPH; Morgan Campbell and Efetobore Omadevuae joined the expanding HIT team at NACHC. Under Julia’s leadership, the team centers their work around the Data, Information, Knowledge, and Wisdom (DIKW) framework. The framework serves as a guiding principle for best data collection practices that inform practical clinical operations. However, when asked, Raymonde emphasized that collaboration and cooperation must take place between clinicians and HIT personnel for the optimal implementation of improved data collection practices.
Centering clinical information systems around patients and providers
Often times generalizations are made about populations due to lack of data specificity. For instance, a medical director may state that many of their patients have substance use disorders. They may even be able to give a percentage or raw number to support that claim. But is this data based on historical information? Current use? What substances are being referred to? What are the associated outcomes that are being seen with specific subcategories of substance users? Have any interventions been shown to be more effective than others?
In order to affect real change in substance use disorder, clinicians need to know this sort of information instead of just the headlines. Whether it is subgroups within the inadequately housed population or immigrant population or the uncontrolled diabetes population, clearer and more concise data outcomes are needed. And that only happens efficiently through effective input and design at the front end.
The informatics team uses a set of personas that drive their work. They are committed to refining clinical information systems so that they are patient-provider centric, they care deeply about eliminating health disparities and working for health justice, they live and work with communities served by health centers and they have relationships with each other that go beyond running charts and working on the latest data portrayal tool. When asked what brings them joy in work, it’s not creating a new code—it is finding balance in their work, gathering for a retreat and knowing for certain that they helped someone else enjoy their work with more confidence and clarity. Certainly, NACHC will have great impact data to share from the efforts of this HIT team.